Pasadena Law Office - Interview with Justine Anguiano


One morning, on a bright day in fall, I headed over to Pasadena to meet with the lovely Ms. Justine Anguiano, the Office Manager for Schweitzer Law Partners. My intention was to get an insider’s look into the workings of the office and meet the woman who Mr. Schweitzer credits for his smooth running firm.

As I entered the office, I was greeted by the sweet smile and glowing face of Ms. Anguiano. She was wearing a striped shirt, almost reminiscent of the gondola rowers of Venice - a black cardigan, tan pants and black flats. A sensible but professional look. She smiled and welcomed me as she shook my hand and offered me a seat. She waited until I settled in before sitting down herself. I immediately noted that this lady was well versed in professionalism.

Simply put, Justine is an open book.

“So, what do you wanna know?” she asked with a laugh, seemingly suggesting that this interview was a bit silly. Why would anyone want to interview her? Why all the fuss? What is so special that she needed to be interviewed? Quite a lot it seems. Justine is the mom at church who organizes the bake sale; she is the teacher at school who pays out of pocket for kid who cannot afford to go to camp. She looks out for and cares for everyone. Some of the many ideas Justine has spearheaded include: Christmas gifts for orphans and children with less fortunate backgrounds; Thanksgiving food drives for low income families; back to school events that provide children with school supplies; clothing and medical/dental checkups; all along while keeping morale in the office high by organizing inter-company events as well.

Justine has been with the firm for seven years, with the latter two years in her position as Office Manager. It was clear, early on, that Justine shies away from the spotlight, a true testament to her altruistic character. She wants the company she works for to succeed and run efficiently. That being said, she does have a great affinity as a spokesperson for the office.

“You’ve received multiple accolades” I pause to see her reaction; A shy smile. “You’ve got two awards on your office wall, multiple promotions and opportunities for growth, after seven years, has this job turned into a career for you?

**Between two parts of the article: materials data**
Theoretical powder diffraction line list of MnCu2SeO6 for copper Kα, from a cell relaxed with PBE+U.

```
MnCu2SeO6
1.0
4.9554 -4.4711 0.0000
4.9554 4.4711 0.0000
-0.8654 0.0000 5.1005
Mn Cu Se O
2 4 2 12
direct
0.0868 0.9132 0.7500
0.9132 0.0868 0.2500
0.2056 0.4045 0.6823
0.4045 0.2056 0.1823
0.5955 0.7944 0.8177
0.7944 0.5955 0.3177
0.2791 0.7209 0.2500
0.7209 0.2791 0.7500
0.0306 0.1862 0.6094
0.1453 0.6539 0.9041
0.1862 0.0306 0.1094
0.2803 0.4761 0.3414
0.3461 0.8547 0.5959
0.4761 0.2803 0.8414
0.5239 0.7197 0.1586
0.6539 0.1453 0.4041
0.7197 0.5239 0.6586
0.8138 0.9694 0.8906
0.8547 0.3461 0.0959

“It definitely has turned into a career” she responds after brief reflection. “When I started as a filing clerk, I did not see a long term future here. I was in school to become a pharmacy tech. I completed multiple programs trying to find a career path in a different field. Every time I endeavored on a new project, they all ended up being something that didn’t feel right. Throughout that whole time I was working here, working hard, and they kept promoting me and giving me more responsibilities.” She pauses as she runs through the last few years in here head. “And I realized, I’m actually kinda good at this!”

“Kinda Good” is an understatement. Justine has been awarded the prestigious ‘Don Moon Memorial Award’ twice! The only person to ever do so. The Don Moon award is in memory of Donald Moon, a private investigator and close friend of Mr. Schweitzer and the firm, who was the personification of hard work and dedication.

As I continue to interview employees of this office, everything continually points to one concept, one idea, one action, one word; Excellence. Donald Schweitzer has created a workplace that encourages and builds and strives for excellence. Justine is no exception. She is the rule.

So what’s next for this wonder woman? As her history would suggest, on to bigger and better things. Justine is currently working towards getting her certification in Human Resources to continue to make the office, and her future, the best it can be.

This interview took place in Pasadena on October 10, 2017
